(Assignment)
Type out the whole of the rows further down without additions, please.

(Listing)
┌──
[1]
Theoretical X-ray powder pattern
Compound: MgMnZnSiO6
Radiation: a wavelength of 1.5418 Å
Structure: a DFT-relaxed cell (PBE+U, the Materials Project)

Cell and atoms:
a b c (Å): 5.981 8.397 17.999
angles (deg): 90.00 90.00 90.00
Space group Cmce (No. 64)
One atom of each set of equivalent atoms:
Mg: 0.250 0.250 0.000 [8 per cell]
Mn: 0.000 0.017 0.084 [8 per cell]
Zn: 0.250 0.100 0.750 [8 per cell]
Si: 0.000 0.143 0.347 [8 per cell]
O: 0.000 0.229 0.075 [8 per cell]
O: 0.000 0.239 0.920 [8 per cell]
O: 0.000 0.241 0.773 [8 per cell]
O: 0.206 0.000 0.000 [8 per cell]
O: 0.228 0.029 0.344 [16 per cell]

Main lines, in order of rising 2θ (10 to 80 degrees two-theta):
| two_theta | I (rel.) | hkl |
| --- | --- | --- |
| 18.9 | 96 | 1 1 1 |
| 25.9 | 100 | 0 2 3 |
| 32.8 | 63 | 0 2 5 |
| 36.1 | 89 | 2 0 4 |
| 37.3 | 64 | 2 2 1 |
| 38.3 | 41 | 2 2 2 |
| 44.3 | 41 | 0 4 2 |
| 62.3 | 83 | 2 4 6 |

***

[2]
Theoretical X-ray powder pattern
Compound: MgCo2Ni4O8
Radiation: a wavelength of 1.5418 Å
Structure: a DFT-relaxed cell (PBE+U, the Materials Project)

Cell and atoms:
a b c (Å): 8.491 8.867 5.944
angles (deg): 90.00 134.38 90.00
Space group C2 (No. 5)
One atom of each set of equivalent atoms:
Mg: 0.000 0.000 0.000 [2 per cell]
Co: 0.000 0.568 0.500 [2 per cell]
Co: 0.000 0.716 0.000 [2 per cell]
Ni: 0.001 0.216 0.725 [4 per cell]
Ni: 0.239 0.909 0.739 [4 per cell]
O: 0.000 0.866 0.253 [4 per cell]
O: 0.001 0.437 0.760 [4 per cell]
O: 0.218 0.142 0.717 [4 per cell]
O: 0.218 0.167 0.217 [4 per cell]

Main lines, in order of rising 2θ (10 to 80 degrees two-theta):
| two_theta | I (rel.) | hkl |
| --- | --- | --- |
| 33.9 | 80 | 1 3 -1 |
| 34.7 | 100 | 3 1 -1 |
| 35.1 | 78 | 3 1 -2 |
| 35.9 | 31 | 2 2 0 |
| 42.6 | 29 | 0 0 2 |
| 45.8 | 24 | 3 3 -2 |
| 60.4 | 32 | 0 4 2 |
| 62.9 | 25 | 0 6 0 |

***

[3]
Theoretical X-ray powder pattern
Compound: LiLuZnFeO4
Radiation: a wavelength of 1.5418 Å
Structure: a DFT-relaxed cell (PBE+U, the Materials Project)

Cell and atoms:
a b c (Å): 3.2827 3.2827 31.4573
angles (deg): 90.00 90.00 120.00
Space group R3m (No. 160, hexagonal axes)
One atom of each set of equivalent atoms:
Li: 0.0000 0.0000 0.0000 [3 per cell]
Lu: 0.0000 0.0000 0.4967 [3 per cell]
Zn: 0.0000 0.0000 0.7318 [3 per cell]
Fe: 0.0000 0.0000 0.2632 [3 per cell]
└──

(Written answer)
[1]
Theoretical X-ray powder pattern
Compound: MgMnZnSiO6
Radiation: a wavelength of 1.5418 Å
Structure: a DFT-relaxed cell (PBE+U, the Materials Project)

Cell and atoms:
a b c (Å): 5.981 8.397 17.999
angles (deg): 90.00 90.00 90.00
Space group Cmce (No. 64)
One atom of each set of equivalent atoms:
Mg: 0.250 0.250 0.000 [8 per cell]
Mn: 0.000 0.017 0.084 [8 per cell]
Zn: 0.250 0.100 0.750 [8 per cell]
Si: 0.000 0.143 0.347 [8 per cell]
O: 0.000 0.229 0.075 [8 per cell]
O: 0.000 0.239 0.920 [8 per cell]
O: 0.000 0.241 0.773 [8 per cell]
O: 0.206 0.000 0.000 [8 per cell]
O: 0.228 0.029 0.344 [16 per cell]

Main lines, in order of rising 2θ (10 to 80 degrees two-theta):
| two_theta | I (rel.) | hkl |
| --- | --- | --- |
| 18.9 | 96 | 1 1 1 |
| 25.9 | 100 | 0 2 3 |
| 32.8 | 63 | 0 2 5 |
| 36.1 | 89 | 2 0 4 |
| 37.3 | 64 | 2 2 1 |
| 38.3 | 41 | 2 2 2 |
| 44.3 | 41 | 0 4 2 |
| 62.3 | 83 | 2 4 6 |

***

[2]
Theoretical X-ray powder pattern
Compound: MgCo2Ni4O8
Radiation: a wavelength of 1.5418 Å
Structure: a DFT-relaxed cell (PBE+U, the Materials Project)

Cell and atoms:
a b c (Å): 8.491 8.867 5.944
angles (deg): 90.00 134.38 90.00
Space group C2 (No. 5)
One atom of each set of equivalent atoms:
Mg: 0.000 0.000 0.000 [2 per cell]
Co: 0.000 0.568 0.500 [2 per cell]
Co: 0.000 0.716 0.000 [2 per cell]
Ni: 0.001 0.216 0.725 [4 per cell]
Ni: 0.239 0.909 0.739 [4 per cell]
O: 0.000 0.866 0.253 [4 per cell]
O: 0.001 0.437 0.760 [4 per cell]
O: 0.218 0.142 0.717 [4 per cell]
O: 0.218 0.167 0.217 [4 per cell]

Main lines, in order of rising 2θ (10 to 80 degrees two-theta):
| two_theta | I (rel.) | hkl |
| --- | --- | --- |
| 33.9 | 80 | 1 3 -1 |
| 34.7 | 100 | 3 1 -1 |
| 35.1 | 78 | 3 1 -2 |
| 35.9 | 31 | 2 2 0 |
| 42.6 | 29 | 0 0 2 |
| 45.8 | 24 | 3 3 -2 |
| 60.4 | 32 | 0 4 2 |
| 62.9 | 25 | 0 6 0 |

***

[3]
Theoretical X-ray powder pattern
Compound: LiLuZnFeO4
Radiation: a wavelength of 1.5418 Å
Structure: a DFT-relaxed cell (PBE+U, the Materials Project)

Cell and atoms:
a b c (Å): 3.2827 3.2827 31.4573
angles (deg): 90.00 90.00 120.00
Space group R3m (No. 160, hexagonal axes)
One atom of each set of equivalent atoms:
Li: 0.0000 0.0000 0.0000 [3 per cell]
Lu: 0.0000 0.0000 0.4967 [3 per cell]
Zn: 0.0000 0.0000 0.7318 [3 per cell]
Fe: 0.0000 0.0000 0.2632 [3 per cell]